== Job ==
The reader should restate the whole of the material below verbatim.

== File ==
- - -
## CsZnPO4 (GGA-PBE)

Data for crystalline CsZnPO4 at its relaxed geometry.

total energy after the MP2020 corrections	-6.418	eV per atom
formation enthalpy at 0 K	-2.51	eV per atom
final energy	-6.026	eV/atom

Geometry as CIF:
```
data_CsZnPO4
_chemical_formula_sum 'Cs8 Zn8 P8 O32'
_symmetry_space_group_name_H-M 'P 1 21/c 1'
_symmetry_Int_Tables_number 14
_cell_length_a 9.365
_cell_length_b 5.515
_cell_length_c 18.770
_cell_angle_alpha 90.00
_cell_angle_beta 90.37
_cell_angle_gamma 90.00
loop_
_symmetry_equiv_pos_as_xyz
'x,y,z'
'-x,-y,-z'
'-x,y+1/2,-z+1/2'
'x,-y+1/2,z+1/2'
loop_
_atom_site_label
_atom_site_type_symbol
_atom_site_fract_x
_atom_site_fract_y
_atom_site_fract_z
_atom_site_occupancy
Cs1 Cs 0.190 0.219 0.251 1
Cs2 Cs 0.294 0.242 0.497 1
Zn1 Zn 0.085 0.747 0.588 1
Zn2 Zn 0.412 0.715 0.333 1
P1 P 0.083 0.747 0.903 1
P2 P 0.408 0.718 0.155 1
O1 O 0.015 0.049 0.631 1
O2 O 0.040 0.504 0.370 1
O3 O 0.061 0.748 0.484 1
O4 O 0.241 0.688 0.886 1
O5 O 0.290 0.687 0.603 1
O6 O 0.353 0.739 0.233 1
O7 O 0.440 0.052 0.636 1
O8 O 0.455 0.127 0.856 1
```


## LiInMo6Se6 (GGA-PBE)

Data for crystalline LiInMo6Se6 at its relaxed geometry.

total energy after the MP2020 corrections	-7.147	eV per atom
formation enthalpy at 0 K	-0.67	eV per atom
final energy	-6.945	eV/atom

Geometry as CIF:
```
data_LiInMo6Se6
_chemical_formula_sum 'Li1 In1 Mo6 Se6'
_symmetry_space_group_name_H-M 'P -6'
_symmetry_Int_Tables_number 174
_cell_length_a 9.4561
_cell_length_b 9.4561
_cell_length_c 4.5153
_cell_angle_alpha 90.00
_cell_angle_beta 90.00
_cell_angle_gamma 120.00
loop_
_symmetry_equiv_pos_as_xyz
'x,y,z'
'-x+y,-x,-z'
'-y,x-y,z'
'x,y,-z'
'-x+y,-x,z'
'-y,x-y,-z'
loop_
_atom_site_label
_atom_site_type_symbol
_atom_site_fract_x
_atom_site_fract_y
_atom_site_fract_z
_atom_site_occupancy
Li1 Li 0.0000 0.0000 0.0000 1
In1 In 0.6667 0.3333 0.5000 1
Mo1 Mo 0.1583 0.6400 0.0000 1
Mo2 Mo 0.1830 0.4927 0.5000 1
Se1 Se 0.0429 0.3156 0.0000 1
Se2 Se 0.3755 0.3692 0.5000 1
```


## PdI2 (GGA-PBE)

Data for crystalline PdI2 at its relaxed geometry.

total energy after the MP2020 corrections	-3.230	eV per atom
formation enthalpy at 0 K	-0.49	eV per atom
final energy	-2.977	eV/atom

Geometry as CIF:
```
data_PdI2
_chemical_formula_sum 'Pd2 I4'
_symmetry_space_group_name_H-M 'P n n m'
_symmetry_Int_Tables_number 58
_cell_length_a 7.088
_cell_length_b 9.008
_cell_length_c 3.900
_cell_angle_alpha 90.00
_cell_angle_beta 90.00
_cell_angle_gamma 90.00
loop_
_symmetry_equiv_pos_as_xyz
'x,y,z'
'-x,-y,-z'
'-x,-y,z'
'x,y,-z'
'x+1/2,-y+1/2,-z+1/2'
'-x+1/2,y+1/2,z+1/2'
'-x+1/2,y+1/2,-z+1/2'
'x+1/2,-y+1/2,z+1/2'
loop_
_atom_site_label
_atom_site_type_symbol
_atom_site_fract_x
_atom_site_fract_y
_atom_site_fract_z
_atom_site_occupancy
Pd1 Pd 0.000 0.000 0.000 1
I1 I 0.192 0.126 0.500 1
```


## ZrVSi (GGA-PBE)

Data for crystalline ZrVSi at its relaxed geometry.

total energy after the MP2020 corrections	-8.418	eV per atom
formation enthalpy at 0 K	-0.73	eV per atom
final energy	-8.442	eV/atom

Geometry as CIF:
```
data_ZrVSi
_chemical_formula_sum 'Zr2 V2 Si2'
_symmetry_space_group_name_H-M 'P 4/n m m'
_symmetry_Int_Tables_number 129
_cell_length_a 3.689
_cell_length_b 3.689
_cell_length_c 7.254
_cell_angle_alpha 90.00
_cell_angle_beta 90.00
_cell_angle_gamma 90.00
loop_
_symmetry_equiv_pos_as_xyz
'x,y,z'
'-x,-y,-z'
'-y+1/2,x,z'
'y+1/2,-x,-z'
'-x+1/2,-y+1/2,z'
'x+1/2,y+1/2,-z'
'y,-x+1/2,z'
'-y,x+1/2,-z'
'x+1/2,-y,-z'
'-x+1/2,y,z'
'-y,-x,-z'
'y,x,z'
'-x,y+1/2,-z'
'x,-y+1/2,z'
'y+1/2,x+1/2,-z'
'-y+1/2,-x+1/2,z'
loop_
_atom_site_label
_atom_site_type_symbol
_atom_site_fract_x
_atom_site_fract_y
_atom_site_fract_z
_atom_site_occupancy
Zr1 Zr 0.250 0.250 0.140 1
V1 V 0.250 0.750 0.500 1
Si1 Si 0.250 0.250 0.745 1
```


## BaAlO5 (GGA-PBE)

Data for crystalline BaAlO5 at its relaxed geometry.

total energy after the MP2020 corrections	-6.082	eV per atom
formation enthalpy at 0 K	-1.74	eV per atom
final energy	-5.592	eV/atom

Geometry as CIF:
```
data_BaAlO5
- - -

== Written answer ==
## CsZnPO4 (GGA-PBE)

Data for crystalline CsZnPO4 at its relaxed geometry.

total energy after the MP2020 corrections	-6.418	eV per atom
formation enthalpy at 0 K	-2.51	eV per atom
final energy	-6.026	eV/atom

Geometry as CIF:
```
data_CsZnPO4
_chemical_formula_sum 'Cs8 Zn8 P8 O32'
_symmetry_space_group_name_H-M 'P 1 21/c 1'
_symmetry_Int_Tables_number 14
_cell_length_a 9.365
_cell_length_b 5.515
_cell_length_c 18.770
_cell_angle_alpha 90.00
_cell_angle_beta 90.37
_cell_angle_gamma 90.00
loop_
_symmetry_equiv_pos_as_xyz
'x,y,z'
'-x,-y,-z'
'-x,y+1/2,-z+1/2'
'x,-y+1/2,z+1/2'
loop_
_atom_site_label
_atom_site_type_symbol
_atom_site_fract_x
_atom_site_fract_y
_atom_site_fract_z
_atom_site_occupancy
Cs1 Cs 0.190 0.219 0.251 1
Cs2 Cs 0.294 0.242 0.497 1
Zn1 Zn 0.085 0.747 0.588 1
Zn2 Zn 0.412 0.715 0.333 1
P1 P 0.083 0.747 0.903 1
P2 P 0.408 0.718 0.155 1
O1 O 0.015 0.049 0.631 1
O2 O 0.040 0.504 0.370 1
O3 O 0.061 0.748 0.484 1
O4 O 0.241 0.688 0.886 1
O5 O 0.290 0.687 0.603 1
O6 O 0.353 0.739 0.233 1
O7 O 0.440 0.052 0.636 1
O8 O 0.455 0.127 0.856 1
```


## LiInMo6Se6 (GGA-PBE)

Data for crystalline LiInMo6Se6 at its relaxed geometry.

total energy after the MP2020 corrections	-7.147	eV per atom
formation enthalpy at 0 K	-0.67	eV per atom
final energy	-6.945	eV/atom

Geometry as CIF:
```
data_LiInMo6Se6
_chemical_formula_sum 'Li1 In1 Mo6 Se6'
_symmetry_space_group_name_H-M 'P -6'
_symmetry_Int_Tables_number 174
_cell_length_a 9.4561
_cell_length_b 9.4561
_cell_length_c 4.5153
_cell_angle_alpha 90.00
_cell_angle_beta 90.00
_cell_angle_gamma 120.00
loop_
_symmetry_equiv_pos_as_xyz
'x,y,z'
'-x+y,-x,-z'
'-y,x-y,z'
'x,y,-z'
'-x+y,-x,z'
'-y,x-y,-z'
loop_
_atom_site_label
_atom_site_type_symbol
_atom_site_fract_x
_atom_site_fract_y
_atom_site_fract_z
_atom_site_occupancy
Li1 Li 0.0000 0.0000 0.0000 1
In1 In 0.6667 0.3333 0.5000 1
Mo1 Mo 0.1583 0.6400 0.0000 1
Mo2 Mo 0.1830 0.4927 0.5000 1
Se1 Se 0.0429 0.3156 0.0000 1
Se2 Se 0.3755 0.3692 0.5000 1
```


## PdI2 (GGA-PBE)

Data for crystalline PdI2 at its relaxed geometry.

total energy after the MP2020 corrections	-3.230	eV per atom
formation enthalpy at 0 K	-0.49	eV per atom
final energy	-2.977	eV/atom

Geometry as CIF:
```
data_PdI2
_chemical_formula_sum 'Pd2 I4'
_symmetry_space_group_name_H-M 'P n n m'
_symmetry_Int_Tables_number 58
_cell_length_a 7.088
_cell_length_b 9.008
_cell_length_c 3.900
_cell_angle_alpha 90.00
_cell_angle_beta 90.00
_cell_angle_gamma 90.00
loop_
_symmetry_equiv_pos_as_xyz
'x,y,z'
'-x,-y,-z'
'-x,-y,z'
'x,y,-z'
'x+1/2,-y+1/2,-z+1/2'
'-x+1/2,y+1/2,z+1/2'
'-x+1/2,y+1/2,-z+1/2'
'x+1/2,-y+1/2,z+1/2'
loop_
_atom_site_label
_atom_site_type_symbol
_atom_site_fract_x
_atom_site_fract_y
_atom_site_fract_z
_atom_site_occupancy
Pd1 Pd 0.000 0.000 0.000 1
I1 I 0.192 0.126 0.500 1
```


## ZrVSi (GGA-PBE)

Data for crystalline ZrVSi at its relaxed geometry.

total energy after the MP2020 corrections	-8.418	eV per atom
formation enthalpy at 0 K	-0.73	eV per atom
final energy	-8.442	eV/atom

Geometry as CIF:
```
data_ZrVSi
_chemical_formula_sum 'Zr2 V2 Si2'
_symmetry_space_group_name_H-M 'P 4/n m m'
_symmetry_Int_Tables_number 129
_cell_length_a 3.689
_cell_length_b 3.689
_cell_length_c 7.254
_cell_angle_alpha 90.00
_cell_angle_beta 90.00
_cell_angle_gamma 90.00
loop_
_symmetry_equiv_pos_as_xyz
'x,y,z'
'-x,-y,-z'
'-y+1/2,x,z'
'y+1/2,-x,-z'
'-x+1/2,-y+1/2,z'
'x+1/2,y+1/2,-z'
'y,-x+1/2,z'
'-y,x+1/2,-z'
'x+1/2,-y,-z'
'-x+1/2,y,z'
'-y,-x,-z'
'y,x,z'
'-x,y+1/2,-z'
'x,-y+1/2,z'
'y+1/2,x+1/2,-z'
'-y+1/2,-x+1/2,z'
loop_
_atom_site_label
_atom_site_type_symbol
_atom_site_fract_x
_atom_site_fract_y
_atom_site_fract_z
_atom_site_occupancy
Zr1 Zr 0.250 0.250 0.140 1
V1 V 0.250 0.750 0.500 1
Si1 Si 0.250 0.250 0.745 1
```


## BaAlO5 (GGA-PBE)

Data for crystalline BaAlO5 at its relaxed geometry.

total energy after the MP2020 corrections	-6.082	eV per atom
formation enthalpy at 0 K	-1.74	eV per atom
final energy	-5.592	eV/atom

Geometry as CIF:
```
data_BaAlO5